Getting an eviction order is never easy. But in this case, the landlord’s challenge was trying to keep the eviction order that had been granted to him! In a judgement delivered on 08 June 2017 the Constitutional Court set aside the eviction of 184 residents occupying a block of flats in Berea, Johannesburg. In a nutshell, the Constitutional Court has held that:
- evicting an occupant is unlawful if the eviction would lead to homelessness;
- when an eviction application is brought before them, judges are required to ensure that the occupants being evicted are aware of their legal rights, including their rights to contest the eviction proceedings and to claim alternative accommodation;
- in every eviction application, and before granting an eviction order, the relevant judge must investigate the occupants’ individual circumstances to assess the impact the eviction would have on their lives.
This judgment is likely to have far-reaching implications on our property industry, and could well mean that getting an eviction order will become more challenging. With the pronouncements in this judgment, eviction proceedings could become an even longer, more complicated process than they already are.
In Occupiers of Erven 87 and 88 Berea v De Wet N.O. and Another (CCT108/16) [2017] ZACC 18, the facts are as follows:
There is a block of flats in Berea, Johannesburg, that is occupied by 184 people, with some of the occupants having lived there for up to 26 years. The owner of the apartment block was liquidated, and the property was duly sold to a Mr Maseko. Mr Maseko intended to spend R3million upgrading the property and then renting out the newly-renovated apartments. For his plans to succeed he needed an empty building. And so it was in January 2013 letters were delivered to the building’s occupants, notifying them of the termination of their leases and right to occupy the property. This began a process that is achingly familiar to many a landlord: the start of eviction proceedings. In September 2013, the High Court finally granted an order evicting the occupants from the apartments. But little did Mr Maseko know that getting his eviction order granted was only the beginning.
After they received the notice of eviction required in terms of the Prevention of Illegal Eviction From and Unlawful Occupation of Land Act (more commonly known as “PIE”) the occupants asked their ward committee member, Mr Nugubane, to assist. Mr Ngubane became involved and also attended court on the date the eviction application was heard. The occupants had wanted the matter to be postponed so that they could get legal representation. Instead, Mr Ngubane informed the court that the occupants had agreed to an amended eviction order that extended the date of eviction by two weeks and gave the occupants first option to enter into lease agreements after the apartments had been renovated.
These data records were left in the page by mistake:
Record 1
This record from the Materials Project database describes a geometry-optimized Mg2Sb structure. The functional is PBE.

Structure (CIF):
```
data_Mg2Sb
_cell_length_a 12.8393
_cell_length_b 3.2366
_cell_length_c 7.3056
_cell_angle_alpha 90.00
_cell_angle_beta 106.91
_cell_angle_gamma 90.00
_symmetry_space_group_name_H-M 'C 1 2/m 1'
_symmetry_Int_Tables_number 12
_symmetry_space_group_name_Hall '-C 2y'
loop_
_atom_site_label
_atom_site_type_symbol
_atom_site_fract_x
_atom_site_fract_y
_atom_site_fract_z
Mg1 Mg 0.0275 0.0000 0.3090
Mg2 Mg 0.1943 0.5000 0.6381
Sb1 Sb 0.1324 0.5000 0.0274
```

- ΔE_f (kJ per mole of atoms) = -9
- uncorrected energy (eV/atom) = -2.473
- M_tot (μB/f.u.) = 0.0
- energy with MP2020 corrections (eV/atom) = -2.5368



Record 2
This record from the Materials Project database describes a geometry-optimized MgSb structure. The functional is PBE.

Structure (CIF):
```
data_MgSb
_cell_length_a 5.6199
_cell_length_b 3.1310
_cell_length_c 5.6250
_cell_angle_alpha 90.00
_cell_angle_beta 90.00
_cell_angle_gamma 90.00
_symmetry_space_group_name_H-M 'P m m a'
_symmetry_Int_Tables_number 51
_symmetry_space_group_name_Hall '-P 2a 2a'
loop_
_atom_site_label
_atom_site_type_symbol
_atom_site_fract_x
_atom_site_fract_y
_atom_site_fract_z
Mg1 Mg 0.2500 0.0000 0.2409
Sb1 Sb 0.2500 0.5000 0.7442
```

- ΔE_f (kJ per mole of atoms) = -21
- uncorrected energy (eV/atom) = -2.987
- M_tot (μB/f.u.) = 0.0
- energy with MP2020 corrections (eV/atom) = -3.0825



Record 3
This record from the Materials Project database describes a geometry-optimized MgSb structure. The functional is PBE.

Structure (CIF):
```
data_MgSb
_cell_length_a 11.4900
_cell_length_b 3.2017
_cell_length_c 5.4466
_cell_angle_alpha 90.00
_cell_angle_beta 96.28
_cell_angle_gamma 90.00
_symmetry_space_group_name_H-M 'C 1 2/m 1'
_symmetry_Int_Tables_number 12
_symmetry_space_group_name_Hall '-C 2y'
loop_
_atom_site_label
_atom_site_type_symbol
_atom_site_fract_x
_atom_site_fract_y
_atom_site_fract_z
Mg1 Mg 0.1219 0.0000 0.2892
Sb1 Sb 0.1220 0.5000 0.7811
```

- ΔE_f (kJ per mole of atoms) = -23
- uncorrected energy (eV/atom) = -3.009
- M_tot (μB/f.u.) = 0.0
- energy with MP2020 corrections (eV/atom) = -3.1049



Record 4
This record from the Materials Project database describes a geometry-optimized MgSb structure. The functional is PBE.

Structure (CIF):
```
data_MgSb
_cell_length_a 12.2605
_cell_length_b 3.3662
_cell_length_c 7.8308
_cell_angle_alpha 90.00
_cell_angle_beta 107.03
_cell_angle_gamma 90.00
_symmetry_space_group_name_H-M 'C 1 m 1'
_symmetry_Int_Tables_number 8
_symmetry_space_group_name_Hall 'C -2y'
loop_
_atom_site_label
_atom_site_type_symbol
_atom_site_fract_x
_atom_site_fract_y
_atom_site_fract_z
Mg1 Mg 0.0000 0.0000 0.0000
Mg2 Mg 0.0986 0.5000 0.6739
Mg3 Mg 0.3221 0.0000 0.6174
Sb1 Sb 0.1632 0.5000 0.3271
Sb2 Sb 0.2670 0.0000 0.9450
Sb3 Sb 0.4248 0.5000 0.3830
```

- ΔE_f (kJ per mole of atoms) = -15
- uncorrected energy (eV/atom) = -2.923
The occupants, not happy with this turn of events, found themselves legal representation and set about challenging the eviction order. They tried to get the order rescinded, and also tried to appeal the order. After being stone-walled both in the High Court and in the Supreme Court of Appeal there was only one avenue left: the Constitutional Court. And so it came to pass that the Constitutional Court found itself having to pick between two opposing sides.
- The occupants claimed that, contrary to what Mr Ngubane had said, they had not consented to the eviction. They also argued that, even if they had consented, a landlord should only be successful in getting an eviction order if it is just and equitable, after all the relevant circumstances have been considered. Which, they claimed, had not been done.
- The hapless Mr Maseko, on the other hand, contended that he had followed the correct legal procedure to terminate the occupants’ occupation of the property, and in getting his eviction order he had complied with PIE and been awarded a perfectly lawful order. He argued that the occupants were unlawfully occupying the property and had made no attempts to find alternative accommodation. He also observed that the eviction order did not necessarily result in homelessness. Added to which, his rights as owner of the property were being jeopardised, especially when viewed against the length of time this process was taking.
Between two parts of the piece: calculated crystals >
********
Entry one
Material: BaMg6Cd
Method: DFT, PBE
State: optimized geometry Values from VASP.

Cell and atoms, written as Quantum ESPRESSO input:
```
&SYSTEM
  ibrav = 0, nat = 16, ntyp = 3
/
ATOMIC_SPECIES
Ba 137.33 Ba.upf
Mg 24.30 Mg.upf
Cd 112.41 Cd.upf
ATOMIC_POSITIONS crystal
Ba 0.000 0.500 0.331
Ba 0.000 0.000 0.831
Mg 0.000 0.257 0.080
Mg 0.000 0.743 0.080
Mg 0.000 0.500 0.840
Mg 0.500 0.278 0.928
Mg 0.500 0.722 0.928
Mg 0.500 0.500 0.667
Mg 0.000 0.757 0.580
Mg 0.000 0.243 0.580
Mg 0.000 0.000 0.340
Mg 0.500 0.778 0.428
Mg 0.500 0.222 0.428
Mg 0.500 0.000 0.167
Cd 0.500 0.500 0.147
Cd 0.500 0.000 0.647
CELL_PARAMETERS angstrom
5.170 0.000 0.000
0.000 7.063 0.000
0.000 0.000 12.117
```

Entry two
Material: BaMg6Cd
Method: DFT, PBE
State: optimized geometry Values from VASP.

Cell and atoms, written as Quantum ESPRESSO input:
```
&SYSTEM
  ibrav = 0, nat = 16, ntyp = 3
/
ATOMIC_SPECIES
Ba 137.33 Ba.upf
Mg 24.30 Mg.upf
Cd 112.41 Cd.upf
ATOMIC_POSITIONS crystal
Ba 0.500 0.500 0.669
Ba 0.500 0.000 0.169
Mg 0.500 0.740 0.921
Mg 0.500 0.260 0.921
Mg 0.000 0.226 0.576
Mg 0.000 0.774 0.576
Mg 0.000 0.500 0.850
Mg 0.000 0.000 0.831
Mg 0.500 0.240 0.421
Mg 0.500 0.760 0.421
Mg 0.000 0.726 0.076
Mg 0.000 0.274 0.076
Mg 0.000 0.000 0.350
Mg 0.000 0.500 0.331
Cd 0.500 0.000 0.657
Cd 0.500 0.500 0.157
CELL_PARAMETERS angstrom
-3.584 2.823 -2.512
-4.508 -1.182 5.104
3.880 10.043 5.753
```

The data favor entry one; the next most stable structure lies 0.008 eV/atom above it.
********
A noteworthy argument was also put forward by The Poor Flat Dwellers Association, a non-profit organisation formed to resist the exploitation of flat dwellers. They joined the proceedings as amicus curiae (or friend of the court) and argued that an eviction order cannot be granted until the judges deciding on the matter have completely discharged their judicial oversight obligations. They argued that judges had to make certain that occupants were fully aware of their rights before granting an eviction.
The Constitutional Court noted that if an occupant consents to an eviction order, the occupant waives a number of rights, including:
- The right to an eviction order only after a court has considered all the facts;
- The right to have the local authority joined to the proceedings and be required to produce a report on the availability of alternative accommodation;
- The right to a just and equitable order in terms of PIE;
- The right to temporary alternative accommodation in the event that eviction results in homelessness.
If the occupants are not aware of these rights, or are not aware that they waive these rights by consenting to an eviction, then the consent is not informed and therefore cannot be legally valid.
The Constitutional Court also explored the duties of a court when considering an application for an eviction order. The core of this matter lies in section 26(3) of the Constitution, which states that “no-one may be evicted from their home, or have their home demolished, without an order of court made after considering all the relevant circumstances” (our emphasis). It is this sentence that gave rise to the notorious PIE Act so loathed by landlords and lauded by tenants. PIE permits a court to order an eviction only if the court is of the opinion that “it is just and equitable to do so” (our emphasis). The Constitutional Court has determined that judges tasked with deciding on the outcome of an eviction application are legally required to take a more proactive role in eviction matters, and must ensure that they have all the relevant information before granting an eviction order. If insufficient or inadequate information is at hand, the order must be denied and the landlord’s hopes of getting an eviction order will be dashed.
In short, in addition to merely confirming that the legal processes in terms of PIE have been followed, judges must carry out an investigative role to evaluate the occupier’s circumstances and assess whether eviction would be just and equitable. At this point you may hear the cries of landlords everywhere, “just and equitable for who?” In this regard, the Constitutional Court acknowledged the rights of landowners, but reiterated that a landlord will only be successful in getting an eviction order granted once the court has determined with certainty that the occupier has no defence against the claim for eviction. It appears, however, that homelessness trumps the landowner’s rights. The Court held that if eviction would result in homelessness, an eviction order would not be just and equitable and cannot be granted.
Thus an occupant may be occupying a property unlawfully, and yet the landowner’s eviction application can still fail if the court determines that eviction would not be “just and equitable”, which includes situations where eviction would lead to homelessness. The Court went on to observe that the local authority has a duty to provide temporary accommodation to anyone being evicted who doesn’t have alternative accommodation, including evictions from private properties.
In resolving this matter, the Constitutional Court:
- Rescinded the eviction order;
- Sent the eviction application back to the High Court, instructing the High Court to “consider all the relevant circumstances” before making an order on the eviction application;
- Joined the City of Johannesburg to the application on the basis that a court cannot make a determination on whether eviction is just and equitable until it has determined the local authority’s ability to provide temporary accommodation. The municipality was given 30 days in which to inform the court of its ability to provide alternative accommodation to the occupants.
On the matter of the rights of landowners: The Constitutional Court noted that this judgment is not intended to quash the rights of landowners in favour unlawful occupants. The judgment merely delays the landowner’s ability to exercise their rights in getting an eviction order until the court has properly considered the matter. Our courts have observed that PIE “infuses elements of grace and compassion”, and promotes “a caring society based on good neighbourliness and shared concern”. Sadly, such utopian ideals do not pay the bills.
We all know that in practice, if a landowner encounters an unlawful occupier, the landowner incurs eye-wateringly high legal fees trying to evict these occupiers. Getting an eviction is a process that already takes months to complete. Added to which, neither the banks nor the municipalities are known to take pity on the landowner, which means mortgage bonds, rates, water and electricity bills still need to be paid each month. We can but wait and see how this Constitutional Court judgment trickles down into the courts’ eviction processes. In the meantime, as a cautionary note we must once again stress that the best time for a landlord to address the risk of a recalcitrant tenant is at the beginning of the lease. Make sure you have the right documents and processes in place and do your checks before handing over those keys.
Read also: our article, Evictions just got a whole lot harder, published on Private Property.
Kerry Jack is a qualified attorney with over 20 years’ experience spanning legal practice, corporate legal advising and risk management consulting. She has interests in Agreements Online, a website that has been providing legal agreements and templates to businesses and individuals for ten years. Her consulting business, Cognosa, has been operating for over 12 years.
Please note that this information is supplied for general information and does not constitute legal advice. It is advisable for you to contact a legal practitioner for guidance in respect of your unique requirements.